Personally, I would be willing to do almost anything for enough money.
Personally, I would be willing to do almost anything for enough money.
Apparently it’s been “still too soon” since Columbine. Maybe we can talk about taking gun control seriously in another 20 years or so.
Ever notice how it’s always not the time?
I think one of the things the right hates most about the Obamas is how much happiness they find in each other. With them you can tell nothing is fake; nothing is a show for the cameras. They truly want to spend every second of everyday with each other.
They may have been raised to believe that, but I can’t understand people who never once think to question their beliefs. If you are going to go all in on being Republican, own it. Know the issues and why you believe them. I feel the same way about being Democrat, or any other political affiliation. These three girls…
This site is essentially a liberal blog. Of course we’re left biased and generally partisan. That isn’t exactly some kind of conspiracy you’ve uncovered. FOX and Breitbart are extreme right wing propaganda machines, but try to act like they are legitimate news. If anyone is confusing things it’s them.
On Splinter or the Root, a dissenting opinion is tolerated so long as it is respectful. I think it can sometimes lead to a thoughtful discussion. I don’t know the whole story though.
Most of them would say no because they already have jobs. Being poor is a lot harder and more work than just working and earning a wage that pays the bills will ever be, and I know this from first hand experience.
This is how I read it at least
Not only that, but any possible benefit to cutting corporate tax rates is lost by choosing to do it now. Had we waited for the economy to go into recession again, which it will inevitably do because that is what it does, we could have reduced the tax rate then and possibly mitigated the effects. Doing it now makes it…
Critics will say they’re just kids and boys will be boys, but times change. Fighting used to be no big deal, and heck when I was a kid you could get away with bringing a BB gun. Neither of these things are tolerated any longer, and you know what? The kids adapted, and are better off for it. There needs to be a system…
I think corporate could have saved some face by just saying this was racist as hell and they apologize. The people responsible have been fired. Why do these corporations still think they can get away with pretending racism doesn’t exist?
== What comes next are records of crystals, not part of the article ==
=====
Below is an optimized crystal structure of Ca2MnAs2O10, with properties calculated at the PBE with a Hubbard U level.

Results
* M_tot: 2.00 Bohr magnetons per cell
* symmetry: P2_1/c, No. 14
* electronic total energy: -6.28 eV/atom

Cell lengths 5.805, 14.148, 5.420 Å; angles 90.00, 103.86, 90.00 degrees
Sites, in units of the cell vectors:
Ca (0.005, 0.147, 0.166)
Ca (0.005, 0.353, 0.666)
Ca (0.995, 0.647, 0.334)
Ca (0.995, 0.853, 0.834)
Mn (0.500, 0.000, 0.000)
Mn (0.500, 0.500, 0.500)
As (0.349, 0.621, 0.971)
As (0.349, 0.879, 0.471)
As (0.651, 0.121, 0.529)
As (0.651, 0.379, 0.029)
O (0.132, 0.702, 0.968)
O (0.132, 0.798, 0.468)
O (0.279, 0.538, 0.186)
O (0.279, 0.567, 0.672)
O (0.279, 0.933, 0.172)
O (0.279, 0.962, 0.686)
O (0.325, 0.109, 0.999)
O (0.325, 0.391, 0.499)
O (0.368, 0.158, 0.439)
O (0.368, 0.342, 0.939)
O (0.632, 0.658, 0.061)
O (0.632, 0.842, 0.561)
O (0.675, 0.609, 0.501)
=====
== Back to the article ==
The civil war wasn’t a fight between good and evil so much as it was a fight between evil and slightly less evil. White people the world over had ideas toward pretty much all PoC that we would consider horrendous today. There were a few standouts who didn’t, of course. Lincoln just wasn’t really one of them. If you…
By background is from those churches. I legit kept getting in trouble with the pastor for bringing too many black people to church. I was told they like to keep the percentage at around %10 to prevent fights and I kid you not “gang activity.” We lived in a largely black neighborhood and many of my friends were black.…
The funny thing is, and by funny I mean tragic, is that he probably would be if all these so called Christians actually followed his example. I’m not religious, but have studied the Bible. If Jesus were real I don’t think he’d recognize evangelicals as his followers. People like this lady decide they need to be a…
• Inserted here: records of crystals:
/*
No. 1
Crystalline BeHgF2 at its relaxed geometry. Source: the Alexandria database, functional GGA-PBE.

Values from the calculation:
As for the space group: Fm-3m. The value obtained for the formation energy without anion corrections is -476 meV/atom. The theoretical density comes out at 7.42 Mg/m³. The calculation puts the magnetic moment at 0.00 μB/atom. The energy relative to the lowest polymorph listed for this composition comes out at 1.7302 eV/atom.

extended XYZ file:
```
4
Lattice="0.0000 3.0263 3.0263 3.0263 0.0000 3.0263 3.0263 3.0263 0.0000" Properties=species:S:1:pos:R:3 pbc="T T T"
Be 0.0000 0.0000 0.0000
Hg 3.0263 3.0263 3.0263
F 1.5132 1.5132 1.5132
F 4.5395 4.5395 4.5395
```

No. 2
Crystalline BeHg3F at its relaxed geometry. Source: the Alexandria database, functional GGA-PBE.

Values from the calculation:
As for the space group: Pm-3m. The value obtained for the formation energy without anion corrections is -219 meV/atom. The theoretical density comes out at 9.67 Mg/m³. The calculation puts the magnetic moment at 0.00 μB/atom. The energy relative to the lowest polymorph listed for this composition comes out at 0.0000 eV/atom.

extended XYZ file:
```
5
Lattice="4.7644 0.0000 0.0000 0.0000 4.7644 0.0000 0.0000 0.0000 4.7644" Properties=species:S:1:pos:R:3 pbc="T T T"
Be 0.0000 0.0000 0.0000
Hg 0.0000 2.3822 0.0000
Hg 0.0000 0.0000 2.3822
Hg 2.3822 0.0000 0.0000
F 2.3822 2.3822 2.3822
```

No. 3
Crystalline BeHg2F at its relaxed geometry. Source: the Alexandria database, functional GGA-PBE.

Values from the calculation:
As for the space group: Fm-3m. The value obtained for the formation energy without anion corrections is -104 meV/atom. The theoretical density comes out at 10.50 Mg/m³. The calculation puts the magnetic moment at 0.00 μB/atom. The energy relative to the lowest polymorph listed for this composition comes out at 0.1533 eV/atom.

extended XYZ file:
```
4
Lattice="0.0000 3.2371 3.2371 3.2371 0.0000 3.2371 3.2371 3.2371 0.0000" Properties=species:S:1:pos:R:3 pbc="T T T"
Be 0.0000 0.0000 0.0000
Hg 1.6186 1.6186 1.6186
Hg 4.8557 4.8557 4.8557
F 3.2371 3.2371 3.2371
```
*/
• So much for the records of crystals:
You’re confusing race with species and indirectly touching upon a really great point. We are all homo sapien; that is to say human. Race is nothing more than how we have chosen to divide ourselves. That is not to say we should not celebrate our differences, however it is important to remember we are all the same…
I mean, here in the comments is the place to have an honest discussion. What are your opinions?
Right? Can people who pirate at least be honest about why they do it? Almost everyone has done it at some point, my self included.